Emotional intelligence has limits: Hone your “perceptivity” as well

- Emotional intelligence can clue you in to how people are feeling in the moment.
- However, it doesn’t give you insight into the personality traits and deep-rooted issues that help you truly understand someone.
- Perceptivity is linked to better performance and improving it helps you make better people decisions at work.
Most people think they are better judges of character than everyone else. (Of course, that statement is statistically impossible — read it again.) For years scholars cast doubt on this notion, regarding perceptivity as more a learned skill than a natural ability. However, recent research into what is called “the good judge” of character suggests that some people do have an advantage in this area. One 2019 study found “consistent, clear, and strong evidence that the good judge does exist” — in other words, some people are indeed better than others at judging personality.
My own experience bears out this finding. Over my two decades of working with leaders across industries as wide-ranging as private equity, apparel, health care, and agribusiness, I’ve found that some people are extraordinarily adept at judging others, but these individuals are few and far between. The vast majority of professionals think their judgment of others’ personalities is accurate. In truth, they fall prey to a whole range of biases that skew how they size people up and in turn lead to horrible decision-making.
Evidence suggests that how good we are at judging people matters, significantly influencing how we perform. Research psychologists have successfully demonstrated that accurate readings of personality “are important not only for specific professions but also for positions within every organization.” Such readings allow managers inside companies to hire the right people and to provide feedback that will most likely resonate with workers as individuals. They also allow people to make better decisions about whom to trust, whom to interact or collaborate with, and whom to approach with new ideas. Since numerous studies have linked various personality traits with strong job performance, and since those linkages are statistically quite strong, it stands to reason that an ability to spot these personality traits in others affords us a big advantage.
I’ve seen this advantage play out in my own work when it comes to specific decisions that leaders and managers must make. When clients of mine have assessed others poorly or haven’t even bothered to try, they’ve almost always lived to regret it. And when they’ve gleaned others’ personalities well, they’ve made stronger decisions that have paid off handsomely.
Integrating personality insights into decision-making has allowed leaders and companies to achieve great outcomes while working through incredible challenges. At one large law firm we work with, one of the senior partners — I’ll call him David — was abusive, causing grave problems for the organization. On one especially egregious occasion, he spat on a colleague in the lobby of the firm’s office building, in full view of many (if any one of them had recorded it and put it out on YouTube, it would have gone viral overnight).
Others within the firm wanted David fired on the spot. The inconvenient truth was that he was a very effective attorney and a huge breadwinner for the firm. If he left, some of the firm’s highest-profile and most lucrative clients would leave as well, rendering it a shell of its former self.
Human resource managers at the firm brought me in to try to understand what the hell to do with him. More formally, they were asking whether the firm might resolve the problem without having to fire the partner. At first, HR told me it was an issue of emotional intelligence and that this should be the focus of any intervention. I explained that emotions are just part of the story and that to really help I needed to determine which underlying personality factors might be a factor. They agreed and I conducted a psychological assessment of David, which included a deep-dive interview and some formal psychometric tests to gain insight into his personality.

My assessment confirmed that he possessed many traits that allowed him to be successful as an attorney. He was energetic, engaging, persuasive, bold, comfortable with risk — all very helpful for a high-powered lawyer. He also lived by a strong moral code that guided his behavior and caused him to be protective toward those he loved.
It also revealed that he had an anxious, impulsive, and at times combustible personality. If David felt even remotely slighted, he would blow it up in his mind and react explosively. He was ambitious and relentless in his pursuit of success, but in some situations, his passionate nature would manifest as aggression, his anxiety as moodiness, his impulsivity as a failure to consider the consequences of his behavior. He became irritable under pressure, anxious about his performance, and his moral code led to stubborn inflexibility, worsened by a need to always be right. He was a perfectionist, and when things weren’t perfect, he reacted.
Perceptivity affords you a huge advantage over the surface-level shortcuts and stereotypes people typically use when sizing others up.
These aspects of his personality could make it very difficult for David to get along well with colleagues. When triggered, he had a tendency to lash out — just like he did that day in the lobby.
As I told David and his bosses, he couldn’t magically erase these negative aspects of his personality — they were as much a part of who he was as his more adaptive traits. What he could do was become more aware of his behavioral tendencies and take steps to correct or balance them out. In other words, he could do the work to develop a level of personal maturity he didn’t yet have. If he did that, he could develop strategies for moderating his negative tendencies. He wouldn’t be able to eradicate his bad behavior entirely, but he might well be able to reduce the frequency and severity to the point where it was much less disruptive to others.
My message resonated with David. The initial insight he gained into his personality thanks to our testing made a difference; namely, that it helped him to acknowledge behavior patterns he hadn’t fully understood and grasp ways in which his natural tendencies sapped his effectiveness at work. He started to see a therapist and made important progress within a few years. He was able to control his negative impulses while retaining important expressions of his personality that had long contributed to his success. Instead of leaving the firm, he now thrives there, leading to an improvement in the broader work environment.
In David’s situation, it wouldn’t have sufficed to have focused on emotional intelligence. That would have shed light on just a small portion of the problem: emotional regulation. It would never have revealed his deeply rooted issues with authority or his relentless pursuit of perfection and underlying justice mentality.
To understand people, you need to know more than just their state emotions, those fleeting feelings and how they’re expressed. You must understand the building blocks of who they are as people — their personalities. You need to know how they think, how they interact with others, what motivates them, what trait emotions (e.g., a “happy person”) they possess, and how they work.
Like the X-ray machine in a doctor’s office, perceptivity can give you a picture that is sufficiently detailed and accurate to be practically useful in your day-to-day life.
Given the links between perceptivity and performance, you might wonder if you can improve your ability to observe others and grasp who they really are. The good news is, you can. Moreover, improving perceptivity will make you a better judge of character and a better person for it. Studies have found that good judges of personality tend to be more relationship-oriented, agreeable, and positive-minded than others. But even if we don’t happen to naturally possess those traits in abundance, we can still cultivate specific skills, habits, and tendencies that allow us to take the measure of people as individuals.
## Misplaced quantum chemistry results
=====
No. 1
Computed, not measured: 2 unconnected molecules or ions with the total composition CH4N2O3, with wB97M-V/def2-TZVPD.

Results
Energy: -375.50213 hartree
Relative energy (zero: lowest compared OMol25 entry of this formula, charge and spin): 13.6 kcal per mole
Multiplicity: 1
LUMO energy (spin up / spin down): 6.4 / 6.4 eV
Net charge: -2

Positions of all 10 atoms, in Å:
C1 4.073 -0.040 -0.258
N1 -8.368 -0.656 0.359
N2 -8.597 0.839 -0.539
O1 -8.696 -1.752 -0.236
O2 -8.784 1.810 0.158
O3 5.358 -0.060 -0.039
H1 3.734 0.526 -1.155
H2 3.306 0.401 0.506
H3 3.555 -1.112 -0.425
H4 -8.854 -0.377 1.153



No. 2
Computed, not measured: a gas-phase ion, C6H14NS (charge -1), with wB97M-V/def2-TZVPD.

Results
Energy: -689.90853 hartree
Relative energy (zero: lowest compared OMol25 entry of this formula, charge and spin): 41.9 kcal per mole
SMILES: CCCNCCC[S-]
Multiplicity: 1
LUMO energy: 3.4 eV
Net charge: -1

Positions of all 22 atoms, in Å:
C1 -0.750 1.330 -3.039
C2 0.061 0.855 -1.847
C3 -0.238 -0.692 -1.543
N1 0.292 -1.221 -0.227
C4 -0.347 -0.592 1.061
C5 0.619 -0.865 2.141
C6 0.520 -0.067 3.412
S1 0.756 1.801 3.276
H1 -1.371 0.607 -3.387
H2 -1.401 2.164 -2.835
H3 0.056 1.663 -3.798
H4 -0.205 1.378 -0.903
H5 1.079 1.124 -2.028
H6 0.191 -1.408 -2.361
H7 -1.261 -0.929 -1.568
H8 1.332 -1.058 -0.242
H9 -0.477 0.442 0.714
H10 -1.346 -1.128 1.140
H11 1.664 -0.751 1.733
H12 0.638 -1.936 2.315
H13 -0.656 -0.096 3.623
H14 0.844 -0.619 4.363



No. 3
Computed, not measured: 2 unconnected molecules or ions with the total composition C6H11NO, with wB97M-V/def2-TZVPD.

Results
Energy: -365.02052 hartree
Relative energy (zero: lowest compared OMol25 entry of this formula, charge and spin): 132.4 kcal per mole
Multiplicity: 1
LUMO energy (spin up / spin down): 0.8 / 0.8 eV
Net charge: 0

Positions of all 19 atoms, in Å:
C1 0.252 -0.925 -0.142
C2 -0.796 1.490 -0.485
C3 -0.136 2.080 0.889
C4 0.186 -1.320 -1.589
C5 -0.692 -1.614 0.804
C6 1.931 0.500 0.798
O1 -1.164 2.687 0.155
N1 1.383 -0.484 0.331
H1 -1.647 0.822 -0.590
H2 -0.196 1.632 -1.380
H3 -0.464 1.597 1.805
H4 0.724 2.735 0.989
H5 2.950 0.462 1.176
H6 0.963 -0.822 -2.169
H7 -0.589 -1.215 1.813
H8 -0.793 -1.059 -2.001
H9 0.309 -2.402 -1.711
H10 -0.500 -2.691 0.842
H11 -1.721 -1.472 0.465



No. 4
Computed, not measured: C2HF5 in the gas phase, with wB97M-V/def2-TZVPD.

Results
Energy: -576.12145 hartree
Relative energy (zero: lowest compared OMol25 entry of this formula, charge and spin): 20.7 kcal per mole
SMILES: FC(F)C(F)(F)F
Multiplicity: 1
LUMO energy: 1.0 eV
Net charge: 0

Positions of all 8 atoms, in Å:
F1 -0.025 -1.351 1.089
C1 0.210 -0.665 -0.024
F2 0.109 -1.355 -1.114
C2 1.872 -0.065 -0.010
F3 2.544 -0.502 -1.019
F4 1.666 1.249 -0.010
F5 2.533 -0.439 1.073
H1 -0.561 0.093 -0.195



No. 5
Computed, not measured: 2 unconnected molecules or ions with the total composition C4H12, with wB97M-V/def2-TZVPD.

Results
Energy: -159.15640 hartree
<S²>: 0.753
=====
To be clear, utilizing this tool won’t give you a perfect picture of yourself or anyone else. But like the X-ray machine in a doctor’s office, perceptivity can give you a picture that is sufficiently detailed and accurate to be practically useful in your day-to-day life. Perceptivity affords you a huge advantage over the surface-level shortcuts and stereotypes people typically use when sizing others up. Seeing beyond race, religion, socioeconomic status, political beliefs, and other superficial characteristics, you can understand core character and make better people decisions based on it.